The government plans to spend £235m on improving playground provision, but what can be done to make sure all children enjoy the new facilities? Crispin Andrews invesigates
Pathfinder projects which will eventually see the government invest £235m in play spaces over the next three years are under way. Will the new facilities be fully inclusive? Early indications are positive, although projects are still at the planning and consultation stages.
____________
Computed, not measured: MnNbReOs after structural relaxation at the GGA-PBE level of DFT.

Values from the calculation:
Energy, eV/atom: -10.728
Symmetry: F-43m (216)

Unit cell a=4.409 b=4.409 c=4.409 alpha=60.00 beta=60.00 gamma=60.00
Site moments in Bohr magnetons follow the coordinates.
Sites, in units of the cell vectors:
Re (0.750, 0.750, 0.750)  -0.26
Nb (0.000, 0.000, 0.000)  0.13
Mn (0.500, 0.500, 0.500)  2.89
Os (0.250, 0.250, 0.250)  0.11

---

Computed, not measured: RuPb2O2F4 after structural relaxation at the GGA-PBE level of DFT.

Values from the calculation:
Energy, eV/atom: -5.393
Energy relative to the elements, uncorrected, kcal/mol of atoms: -37.01
Symmetry: C2/m (12)

Unit cell a=4.386 b=5.800 c=5.800 alpha=60.19 beta=87.22 gamma=87.22
Site moments in Bohr magnetons follow the coordinates.
Sites, in units of the cell vectors:
Ru (0.500, 0.000, 0.000)  1.31
Pb (0.254, 0.687, 0.687)  0.02
Pb (0.746, 0.313, 0.313)  0.02
O (0.285, 0.172, 0.172)  0.22
O (0.715, 0.828, 0.828)  0.22
F (0.263, 0.660, 0.186)  0.00
F (0.737, 0.814, 0.340)  0.00
F (0.737, 0.340, 0.814)  0.00
F (0.263, 0.186, 0.660)  0.00

---

Computed, not measured: Cs4CrS4 after structural relaxation at the GGA-PBE level of DFT.

Values from the calculation:
Energy, eV/atom: -4.318
Energy relative to the elements, uncorrected, kcal/mol of atoms: -23.86
Symmetry: P4_2/nmc (137)

Unit cell a=7.316 b=9.613 c=9.613 alpha=90.00 beta=90.00 gamma=90.00
Site moments in Bohr magnetons follow the coordinates.
Sites, in units of the cell vectors:
Cs (0.352, 0.280, 0.000)  0.00
Cs (0.852, 0.500, 0.780)  0.00
Cs (0.352, 0.720, 0.000)  0.00
Cs (0.148, 0.220, 0.500)  0.00
Cs (0.648, 0.000, 0.720)  0.00
Cs (0.148, 0.780, 0.500)  0.00
Cs (0.852, 0.500, 0.220)  0.00
Cs (0.648, 0.000, 0.280)  0.00
Cr (0.000, 0.000, 0.000)  1.91
Cr (0.500, 0.500, 0.500)  1.91
S (0.668, 0.691, 0.500)  -0.03
S (0.668, 0.309, 0.500)  -0.03
S (0.168, 0.000, 0.809)  -0.03
S (0.832, 0.191, 0.000)  -0.03
S (0.832, 0.809, 0.000)  -0.03
S (0.332, 0.500, 0.309)  -0.03
S (0.332, 0.500, 0.691)  -0.03
S (0.168, 0.000, 0.191)  -0.03


Computed, not measured: crystalline TmGeIr at its relaxed geometry at the GGA-PBE level of DFT.

```
3
Lattice="3.3125 0.0000 0.0000 0.0000 4.4113 0.0000 0.0000 -2.2056 3.8203" Properties=species:S:1:pos:R:3 pbc="T T T"
Ir 0.5518 0.0000 0.0000
Ge 0.5523 2.2056 1.2734
Tm 2.2084 0.0000 2.5469
```

Output
Energy of formation = -241 kJ/mol of formula units
Density = 12.9 g cm⁻³
DOS at the Fermi energy = 0.53 states/eV per atom
Space group = P-6m2


Computed, not measured: crystalline TmGeIr at its relaxed geometry at the GGA-PBE level of DFT.

```
12
Lattice="7.2192 -0.3130 0.0000 -3.0293 6.5603 0.0000 -2.0949 -3.1237 5.2839" Properties=species:S:1:pos:R:3 pbc="T T T"
Tm 2.8523 1.4836 1.3210
Tm 1.8048 -0.0783 3.9629
Tm 1.3376 4.7637 1.3210
Tm -1.8048 0.0783 3.9629
Ge -3.1825 4.3987 2.6420
Ge -1.3615 5.4418 0.0000
Ge 5.5514 0.8055 0.0000
Ge 0.1532 2.1616 2.6420
Ir -1.5147 3.2802 1.1522
____________
In Nottingham, the city council is calling on its inclusive play strategy and the expertise of local authority inclusion officers to ensure its new play provision will meet everyone’s needs; in Sunderland, work is being dovetailed with the authority’s Aiming High pathfinder project which provides short breaks for disabled children. Portsmouth City Council’s website states that its free-to-use play spaces will be aimed at eight- to 13-year-olds, including those with disabilities.
Issy Cole-Hamilton, Play England’s head of policy and research, welcomes such joined-up approaches and insists that inclusion must be at the centre of good play practice, not seen as an add-on. She encourages providers to look at all the possibilities when coming up with their designs, saying: ‘If given the opportunity, disabled children and children with special educational needs can do a lot more than people think. Work with the special schools or mainstream schools where disabled children are included and find out what provision they offer.’
More than a matter of physical access
Every Disabled Child Matters (EDCM) – a campaign to get rights and justice for every disabled child involving Contact a Family (CaF), the Council for Disabled Children (CDC), Mencap and the Special Educational Consortium (SEC) – is also calling for play environments to be accessible to disabled children. Christine Lenehan, director of CDC and an EDCM board member, says: ‘This isn’t just about physical access but also improving attitudes through staff training, access to transport and safety. Without these changes, disabled children and young people miss out on ordinary childhood experiences and the chance to lead independent lives.’
Government’s commitment to build or upgrade playgrounds and set up new supervised adventure playgrounds was outlined in the Children’s Plan in December 2007. Last April, 20 local authorities were selected as play pathfinders, each receiving around £2m capital funding plus significant revenue funding to develop innovative, inclusive play sites with challenging equipment and natural landscapes. The 20 local authorities are also in the process of developing plans for building one new staffed adventure playground, with indoor and outdoor facilities, in an area where provision is currently lacking. Another 43 local authorities have been given capital funding of approximately £1m each to develop their own public play areas.
In autumn 2008, a further 15 play pathfinders will be selected. By 2011, 30 new adventure playgrounds and up to 3,500 public play areas will have been built with all local authorities given the opportunity to get involved. The secretary of state for children, schools and families, Ed Balls, believes that having time, space and opportunity to play freely and safely is one of the defining characteristics of a good childhood. ‘Children need places which allow them to meet their friends and have fun – being able to burn off their energy in unstructured play is an important part of maintaining a healthy weight and life,’ he says. The secretary of state for culture, media and sport, Andy Burnham, adds: ‘Good play areas are well used by children and parents alike and provide an excellent social focus for the community, but they don’t exist everywhere. We want to give children a stimulating and safe environment where they can let off steam, mix with others and get active. The enjoyment children get from play can give them a lifelong love of being active and also build up a passion for sport.’
Government is encouraging local authorities to work with children, young people and their communities to ensure these play facilities really make a difference in their local area and Mencap children’s information and policy officer, Sarah Mepham, is delighted to hear that in these consultations local authorities are making a specific point of speaking to young disabled people and their families.
‘You have to be proactive and seek out young disabled people’s opinions,’ she says. ‘Often they can’t fill in forms and might not already be using existing play areas when the canvassing is done.’
During last summer’s playschemes and playdays, play workers in Nottingham have been handing out colour-coded spidergram questionnaires to children, asking for their opinions on the neighbourhood play area. How well are the play areas looked after? Are they convenient? How much do the children enjoy playing there? More than 800 replies have been collected, with play workers given a specific remit to help children with special educational needs (SEN) understand the process and ensure that their views are taken into account. During playschemes held at some of the city’s special schools and also at two one-day events aimed specifically at encouraging children with SEN and their families to use play facilities, workers also observed the children’s interaction with the facilities, talked to parents about their children’s needs and advised the youngsters themselves about using the equipment.
‘We’ve decided to use some of the government funding to create a new senior inclusion development post to oversee the pathfinder project,’ says Nottingham’s pathfinder manager Celina Adams. The city council’s existing inclusion development officer will also be working on the strategy for both the play areas and the new adventure playground being proposed for the Bernwood Park estate in the north of the city, to ensure that the needs of disabled children are considered.
Sunderland’s play pathfinder project manager Carol Lewis is also at the consultation stage. She adds that it is important to take into account the surrounding area within which the play facilities will be located when looking at issues of inclusion.
‘Changing areas and toilet facilities might be needed if children with SEN are going to utilise play areas,’ she says, before adding. ‘People want somewhere that is exciting and that they can call their own, but they also want to be safe.’
Rachel Scott from the KIDS charity for disabled children explains that the issue of safety during play was highlighted by children themselves in last year’s consultation on the Children’s Plan. ‘Many children feel threatened when teenagers and older children come into their play areas,’ she says. Sarah Mepham at Mencap stresses the importance of combating bullying within play settings used by both disabled and non-disabled children.
Both agree that within organised play areas, the key factor is training of staff to ensure they understand the needs of disabled children and how to ensure that everyone can take part together. In informal play areas, the idea of play rangers is being considered to provide some sort of supervisory presence within parks and give both children and parents a first port of call if they have any problems.
Inclusive play accommodates the whole community
Issy Cole-Hamilton asks providers who are designing play areas to incorporate equipment and other features that all children can use, rather than providing specific pieces of equipment for each impairment. ‘Everyone can use sand and some sensory equipment is great fun whatever your needs,’ she says.
Darren Terry of equipment suppliers Taylor Made agrees. He strongly believes that whenever possible playground equipment should be designed and constructed in a way that takes into account age, ability and impairment, whether it be sensory, physical, intellectual or mental. ‘We have worked with a number of organisations in designing, manufacturing and installing special needs playground solutions,’ he says. These include a fort with disabled access at a special school in Cambridge and a tower play system with ramped access and adapted swings at Calvert Trust in Devon, an activity centre for children with special needs.
‘We have also included sensory shelters and ramped outdoor stages; other standard equipment includes bird’s-nest swings, bed-swings, rumble bridges, rattle bridges and double slides that accommodate two people. It is easy to adapt our standard units to accommodate wheelchairs, for example, with the addition of ramps, handrails, wider slides and types of swing such as bird’s nest.’
But there are other considerations when designing an inclusive playground, Darren says. ‘[These] include topography, accessibility – so fencing, entrances and exits being distinguishable perhaps through different colours, distance from residential areas or signage.’
He adds: ‘It is very easy when examining inclusion to immediately think about disability. The essential thing when planning and designing inclusive play facilities is that they accommodate the needs of the whole community and take into account the age of the anticipated users, demographic, ability and ethnicity.’
For Jo Sheridan of Hand Made Places, which builds playground equipment and outdoor classrooms, inclusive design is about providing specific equipment to meet certain needs but also making sure that there is equipment available that children with different needs can use in different ways. ‘Ramps, platforms, bridges can be used in a variety of ways, as can mirrors, periscopes and blackboards,’ she says. ‘Structures can be made so children are able to access things at different heights and with areas inside that can be used for different purposes – such as sensory or musical areas.’
Sarah Mepham reminds providers that when designing inclusive playgrounds it’s important also to think about older children with certain impairments, who might be outside the target age range for the play area, but who because of developmental delay still want to play there. ‘You also need to think about providing a space that whole families would want to visit,’ she says. ‘Many parents will want to play with their children in these spaces.’ Jo Sheridan adds that structures need to be robust enough to withstand the sort of physical play some older youngsters with certain impairments might prefer.
Pathfinder local authorities seem to be aware of the necessity to make their play areas and adventure playgrounds inclusive. Backed by supporting organisations and governmental insistence, they also appear to have the local infrastructure needed to deliver. So what could go wrong? What could stop the best-laid plans from producing the sort of high-quality inclusive facility everybody wants?
How about health and safety requirements? An over-zealous minority of parents, backed by aggressive marketing from certain legal organisations, has made what ought to be essential safeguards to the welfare of users, young and old – and nothing more – the scourge of physical activity. If a child grazes a knee or twists an ankle, there is a risk that litigation will follow.
Inserted here: materials data:
********
Density functional theory data (PBE-GGA) for a relaxed KTlO2 crystal.

a = 3.474 Å, b = 3.474 Å, c = 6.661 Å
α = 74.88°, β = 74.88°, γ = 60.00°
Sites, in units of the cell vectors:
K 0.497 0.497 0.510
Tl 0.668 0.668 0.997
O 0.066 0.066 0.801
O 0.269 0.269 0.192

Values from the calculation:
The density is 6.9 g cm⁻³. The formation energy from raw total energies is -1.0125 eV per atom.

----------

# 1
# B3Mo (SCAN, PBEsol geometry)
data_B3Mo
_chemical_formula_sum 'B18 Mo6'
_cell_length_a 5.2032
_cell_length_b 5.2032
_cell_length_c 9.2503
_cell_angle_alpha 90.00
_cell_angle_beta 90.00
_cell_angle_gamma 120.00
_space_group_name_H-M_alt 'R -3 m'
_space_group_IT_number 166
_space_group_name_Hall '-R 3 2"'
loop_
_atom_site_label
_atom_site_type_symbol
_atom_site_fract_x
_atom_site_fract_y
_atom_site_fract_z
B1 B 0.0000 0.3350 0.0000
Mo1 Mo 0.0000 0.0000 0.1647
# - Uncorrected energy: -14.614 eV per atom
# - DOS at the Fermi energy: 0.11 states/eV/atom


# 2
# CuNi2Ir (SCAN, PBEsol geometry)
data_CuNi2Ir
_chemical_formula_sum 'Cu2 Ni4 Ir2'
_cell_length_a 3.607
_cell_length_b 3.607
_cell_length_c 7.131
_cell_angle_alpha 90.00
_cell_angle_beta 90.00
_cell_angle_gamma 90.00
_space_group_name_H-M_alt 'I 4/m m m'
_space_group_IT_number 139
_space_group_name_Hall '-I 4 2'
loop_
_atom_site_label
_atom_site_type_symbol
_atom_site_fract_x
_atom_site_fract_y
_atom_site_fract_z
Cu1 Cu 0.000 0.000 0.000
Ni1 Ni 0.000 0.500 0.250
Ir1 Ir 0.000 0.000 0.500
# - Uncorrected energy: -29.592 eV per atom
# - DOS at the Fermi energy: 0.86 states/eV/atom


# 3
# Al3GaCu (SCAN, PBEsol geometry)
data_Al3GaCu
_chemical_formula_sum 'Al3 Ga1 Cu1'
_cell_length_a 4.742
_cell_length_b 4.742
_cell_length_c 4.742
_cell_angle_alpha 90.00
_cell_angle_beta 90.00
_cell_angle_gamma 90.00
_space_group_name_H-M_alt 'P m -3 m'
_space_group_IT_number 221
_space_group_name_Hall '-P 4 2 3'
loop_
_atom_site_label
_atom_site_type_symbol
_atom_site_fract_x
_atom_site_fract_y
_atom_site_fract_z
Al1 Al 0.000 0.000 0.500
Ga1 Ga 0.000 0.000 0.000
Cu1 Cu 0.500 0.500 0.500
# - Uncorrected energy: -10.094 eV per atom
# - DOS at the Fermi energy: 0.48 states/eV/atom


# 4
# MnOsBr3 (SCAN, PBEsol geometry)
data_MnOsBr3
_chemical_formula_sum 'Mn1 Os1 Br3'
_cell_length_a 4.987
_cell_length_b 4.987
_cell_length_c 4.987
_cell_angle_alpha 90.00
_cell_angle_beta 90.00
_cell_angle_gamma 90.00
_space_group_name_H-M_alt 'P m -3 m'
_space_group_IT_number 221
_space_group_name_Hall '-P 4 2 3'
loop_
_atom_site_label
_atom_site_type_symbol
_atom_site_fract_x
_atom_site_fract_y
_atom_site_fract_z
Mn1 Mn 0.000 0.000 0.000
Os1 Os 0.500 0.500 0.500
Br1 Br 0.000 0.500 0.500
# - Formation energy (no corrections): 528 meV/atom
# - DOS at the Fermi energy: 0.60 states/eV/atom


# 5
# LiRePPt2 (SCAN, PBEsol geometry)
data_LiRePPt2
_chemical_formula_sum 'Li1 Re1 P1 Pt2'
_cell_length_a 4.457
_cell_length_b 4.457
_cell_length_c 4.360
_cell_angle_alpha 90.00
_cell_angle_beta 90.00
_cell_angle_gamma 90.00
********
If councils are too risk-averse, there is a real possibility that the new facilities will not produce the intended high- quality experience. Douglas Belfield, director at playground designer Record RSS, fears that an over-zealous focus on health and safety by nervous councils could misdirect the way the money might be spent. In research conducted by YouGov on behalf of Record RSS, 83 per cent of almost 2,000 adults questioned agreed that today’s children miss out on play – without adult supervision – because of concern for their safety. Seventy-one per cent of the sample wanted children to be challenged and motivated through unsupervised play.
He says: ‘Playgrounds by their very nature need to be challenging and risky in order to attract children to go back again and keep trying. It is fine for kids to fall over. We develop from learning by our mistakes and pushing our boundaries and this has to start in childhood.’
Rachel Scott agrees that playgrounds are about action and that without an element of risk they become lifeless, dull and boring. David Ball, professor of risk management at Middlesex University, adds: ‘What is often overlooked are the health benefits, physical and emotional, of play and the valuable experience of making one’s own choices. Children and young people need these opportunities to learn about life and its dangers, otherwise they will find it all the more difficult to survive the challenges of adulthood.’
What happens if local councils take the risk?
Even government is getting in on the act. Andy Burnham says: ‘Of course it is important that children are kept safe but this does not mean we have to wrap them up in cotton wool. I want to get children outside where they can enjoy the many possibilities that play offers rather than spending all day in front of the computer.’ All very well and all very true; but if they are to feel a bit more secure in taking the odd risk when designing their play areas, local authorities might need an answer to a different question – whose head will be on the chopping block should something go wrong?
Crispin Andrews is a freelance journalist